Vmware Esxi 5.5.0 3568722
When you perform a fresh ESXi version 5.5.0 installation or boot an existing ESXi version 5.5.0 installation on servers from Oracle America (Sun) vendors, the server console displays a blank screen during the installation process or when the existing ESXi 5.5.0 build boots.
### Here the text breaks off for data records
+++
Theoretical PXRD pattern of VAs2Pd for copper Kα, from DFT lattice parameters and positions (PBE).
Neutral-atom scattering factors, no anomalous dispersion.

Top 6 peaks for 2θ from 10° to 90°, sorted by position:
2theta	d_spacing	intensity
27.58	3.234	100.0
45.45	1.996	24.6
46.00	1.973	47.7
53.99	1.698	29.0
54.96	1.671	13.9
84.39	1.148	15.4

Atomic structure:
```
16
Lattice="5.645 0.000 0.000 0.000 5.645 0.000 0.000 0.000 11.038" Properties=species:S:1:pos:R:3 pbc="T T T"
V 0.000 0.000 0.000
V 0.000 2.822 2.760
V 2.822 0.000 8.279
V 2.822 2.822 5.519
As 1.340 1.411 1.380
As 1.411 4.162 4.139
As 1.411 4.305 9.658
As 1.483 1.411 6.899
As 4.162 4.234 6.899
As 4.234 1.340 9.658
As 4.234 1.483 4.139
As 4.305 4.234 1.380
Pd 0.000 0.000 5.519
Pd 0.000 2.822 8.279
Pd 2.822 0.000 2.760
Pd 2.822 2.822 0.000
```

---

Theoretical PXRD pattern of V2As3Pd3 for copper Kα, from DFT lattice parameters and positions (PBE).
Neutral-atom scattering factors, no anomalous dispersion.

Top 6 peaks for 2θ from 10° to 90°, sorted by position:
2theta	d_spacing	intensity
34.50	2.600	27.5
37.41	2.404	30.0
41.40	2.181	100.0
42.64	2.121	60.2
66.54	1.405	33.7
84.91	1.142	12.5

Atomic structure:
```
16
Lattice="7.340 0.000 0.000 -3.670 6.357 0.000 0.000 0.000 5.200" Properties=species:S:1:pos:R:3 pbc="T T T"
V 0.000 4.238 0.000
V 0.000 4.238 2.600
V 3.670 2.119 0.000
V 3.670 2.119 2.600
As -1.453 2.517 1.300
As -2.217 3.839 3.900
As 2.907 0.000 1.300
As 1.453 2.517 3.900
As 4.433 0.000 3.900
As 2.217 3.839 1.300
Pd -0.890 1.541 3.900
Pd -2.780 4.815 1.300
Pd 1.780 0.000 3.900
Pd 0.890 1.541 1.300
Pd 5.560 0.000 1.300
Pd 2.780 4.815 3.900
```

---

Theoretical PXRD pattern of YAs3Pd3 for copper Kα, from DFT lattice parameters and positions (PBE).
Neutral-atom scattering factors, no anomalous dispersion.

Top 6 peaks for 2θ from 10° to 90°, sorted by position:
2theta	d_spacing	intensity
18.39	4.825	23.6
26.12	3.412	43.2
32.13	2.786	100.0
46.08	1.970	34.4
50.02	1.824	56.3
53.73	1.706	31.2

Atomic structure:
```
14
Lattice="6.823 0.000 0.000 0.000 6.823 0.000 0.000 0.000 6.823" Properties=species:S:1:pos:R:3 pbc="T T T"
Y 0.000 0.000 0.000
Y 3.412 3.412 3.412
As 0.000 1.706 3.412
As 0.000 5.118 3.412
As 1.706 3.412 0.000
As 3.412 0.000 1.706
As 3.412 0.000 5.118
As 5.118 3.412 0.000
Pd 0.000 3.412 1.706
Pd 0.000 3.412 5.118
Pd 1.706 0.000 3.412
Pd 3.412 1.706 0.000
Pd 3.412 5.118 0.000
Pd 5.118 0.000 3.412
```

---

Theoretical PXRD pattern of Y3As4Pd7 for copper Kα, from DFT lattice parameters and positions (PBE).
Neutral-atom scattering factors, no anomalous dispersion.

Top 6 peaks for 2θ from 10° to 90°, sorted by position:
2theta	d_spacing	intensity
35.18	2.551	100.0
35.92	2.500	78.3
36.52	2.460	34.1
38.56	2.335	41.2
42.47	2.128	35.9
43.75	2.069	67.8

Atomic structure:
```
14
Lattice="7.871 -2.069 0.000 7.871 2.069 0.000 -5.627 0.000 7.805" Properties=species:S:1:pos:R:3 pbc="T T T"
Y 0.000 0.000 0.000
Y 3.221 0.000 2.544
Y 6.894 0.000 5.261
As -2.959 0.000 6.423
+++

┌──
(1)
For PmBS2, a structure optimized by DFT (PBE) gives the theoretical X-ray diffraction stick pattern in this record (Cu Kα (weighted mean of Kα1 and Kα2)).
Peak positions follow from Bragg's law for the DFT cell and can differ from measured ones.

Atomic structure:
```
PmBS2
1.0
1.6429 0.9485 7.8653
-1.6429 0.9485 7.8653
0.0000 -1.8971 7.8653
Pm B S
1 1 2
Cartesian
0.0000 0.0000 0.0000
0.0000 0.0000 11.7979
0.0000 0.0000 2.7799
0.0000 0.0000 20.8159
```

Peak list (10 most intense, 5° ≤ 2θ ≤ 70°, low angle first)
| two_theta | intensity |
| --- | --- |
| 11.2 | 86 |
| 22.6 | 42 |
| 31.7 | 100 |
| 32.4 | 69 |
| 34.2 | 31 |
| 41.5 | 38 |
| 44.2 | 51 |
| 50.2 | 25 |
| 56.0 | 26 |
| 67.3 | 25 |

***

(2)
For Ce9Sb5O5, a structure optimized by DFT (PBE) gives the theoretical X-ray diffraction stick pattern in this record (Cu Kα (weighted mean of Kα1 and Kα2)).
Peak positions follow from Bragg's law for the DFT cell and can differ from measured ones.

Atomic structure:
```
Ce9Sb5O5
1.0
10.2221 0.0000 0.0000
0.0000 10.2221 0.0000
0.0000 0.0000 9.1621
Ce Sb O
18 10 10
Cartesian
0.2466 3.3754 0.0110
0.4854 8.7234 6.0043
1.4987 5.5965 3.1578
1.7357 0.2466 0.0110
2.5555 2.5555 6.1367
3.3754 4.8645 0.0110
3.6124 9.7367 3.1578
4.6256 6.6097 6.0043
4.8645 1.7357 0.0110
5.3576 8.4864 9.1511
5.5965 3.6124 3.1578
6.6097 0.4854 6.0043
6.8468 5.3576 9.1511
7.6666 7.6666 3.0254
8.4864 9.9755 9.1511
8.7234 4.6256 6.0043
9.7367 1.4987 3.1578
9.9755 6.8468 9.1511
0.5362 8.6673 2.7244
1.5548 5.6473 6.4377
2.5555 2.5555 2.8090
3.5563 9.6859 6.4377
4.5748 6.6659 2.7244
5.6473 3.5563 6.4377
6.6659 0.5362 2.7244
7.6666 7.6666 6.3531
8.6673 4.5748 2.7244
9.6859 1.5548 6.4377
0.2993 8.8943 8.3006
1.3278 5.4103 0.8615
2.5555 2.5555 8.4584
3.7832 9.9229 0.8615
4.8118 6.4389 8.3006
5.4103 3.7832 0.8615
6.4389 0.2993 8.3006
7.6666 7.6666 0.7037
8.8943 4.8118 8.3006
9.9229 1.3278 0.8615
```

Peak list (10 most intense, 5° ≤ 2θ ≤ 70°, low angle first)
| two_theta | intensity |
| --- | --- |
| 27.6 | 30 |
| 29.3 | 100 |
| 33.9 | 60 |
| 39.4 | 41 |
| 40.6 | 12 |
| 48.7 | 12 |
| 49.8 | 33 |
| 57.0 | 12 |
| 57.8 | 15 |
| 65.3 | 21 |

----------

Structure and computed PXRD pattern of AlCuBr4 (a structure optimized by DFT (GGA-PBE); Cu Kα, 1.54184 Å).

Principal peaks in the range 2θ = 5–70°, most intense first:
2theta, Rel. int., (hkl)
27.40, 100, 1 1 2
46.14, 35, 2 0 4
52.80, 29, 3 1 2
44.21, 20, 2 2 0
30.86, 16, 2 0 0
56.16, 13, 1 1 6
33.43, 7, 0 0 4
22.60, 7, 1 0 2
15.29, 6, 1 0 0
17.40, 6, 1 0 1

Structural model:
```
data_AlCuBr4
_space_group_name_H-M_alt 'P -4 2 c'
_space_group_IT_number 112
_space_group_name_Hall 'P -4 2c'
_cell_length_a 5.7943
_cell_length_b 5.7943
_cell_length_c 10.7202
_cell_angle_alpha 90.00
_cell_angle_beta 90.00
_cell_angle_gamma 90.00
loop_
_atom_site_label
_atom_site_fract_x
_atom_site_fract_y
_atom_site_fract_z
Al1 0.0000 0.5000 0.2500
Cu1 0.0000 0.0000 0.0000
Br1 0.2399 0.2679 0.1263
```
└──
== End of the materials data ==
Posted by on Sep 20 2013 (updated on Sep 22 2013) in • • With the 5.5 code now and generally available, the article below is largely superseded by the simpler, newer, shinier article: Original article appears below, with timeline of URL publication status appended below. Here's a short, easily shared link to this page, All the bits are the same, regardless of the source. Licensing is where things differ. If you have a VMware Account and license keys: Start here: You may encounter the unfortunate 'Unable to Complete Your Request We cannot complete your request at this time. We are working to resolve the issue as soon as possible' error.

Vmware Esxi 5 5 Download
Here's another URL that leads you to all the ESXi versions: once you choose 5.5 in the drop down menu, you get to the same place however. [These issues went away Sunday Sep 22, 2013, once VMware brought the links back online] Grab that VCSA (VMware vCenter Server Appliance) too, you're going to need it! Look for the 4 'VMware vCenter Server Appliance' files here: If you're looking for the free VMware vSphere ESXi 5.5 Hypervisor: This general link that's worked for a long time doesn't seem to link to a helpful page at the moment: You might also try this link: Grab that VCSA (VMware vCenter Server Appliance) too, you're going to need it! Look for the 4 'VMware vCenter Server Appliance' files here: If you're looking to sign up to receive a 60-day evaluation of vSphere 5.5, including ESXi 5.5: Visit either [www.vmware.com/products/vsphere/features-esxi-hypervisor]( ) [www.vmware.com/go/evaluate-vsphere-en]( ) then fill out the form, which it confirms. Not sure when those requests will get filled. [turns out, at 2:05pm ET on Sep 22, an email went out inviting folks who signed up to download] Register to be notified Once authenticated [sign-up is free], click on the ‘Download Free Trial’ button.png “Thank you for registering” confirms your request, note the indications that it’s 5.5.
These new automated machines will help Persatuan DAYBREAK produce higher value-added products of enhanced quality. Speaking in her welcome speech during the official handover ceremony at the premises of Persatuan DAYBREAK on September 19, the Executive Chairperson of Persatuan DAYBREAK, Dato’ Sandra Lee, welcomed the opportunity to work together with JTK to help trainees in DAYBREAK enhance their skills in the production of handicraft items using these machines. Encik Rahmat bin Ismail said JTK looked forward to working with partners such as Persatuan DAYBREAK and other NGOs, under its Program Azam Kerja Berkelompok, to help individuals in need of training and support to learn a skill or trade for a better future. Pejabat buruh. She also thanked Madam Fully Chye, Chairperson of Persatuan Seni Jahitan Kreatif Malaysia, for providing training on these machines at EPAL Centre, Puchong and at Persatuan DAYBREAK. DAYBREAK currently produces a popular range of bags, cushion covers, quilts, smocked dresses and aprons.